Work order
Could you count the lines further down that contain the word "at" and give the number alone?

Source
First-principles (PBE-GGA) data for TiO2 after structural relaxation, as listed in Materials Project.

Output
E (MP2020): -9.395 eV/atom
calculated formation energy: -10.39 eV per formula unit

Cell lengths 5.9463, 6.5747, 6.5748 Å; angles 90.00, 90.00, 90.00 degrees
Closest atoms and distances in Å follow each position.
Space group Imma (No. 74)
Asymmetric unit:
Ti: 0.0000 0.2500 0.2452 (multiplicity 4)  6 O 1.94-2.00
Ti: 0.2500 0.2500 0.7500 (multiplicity 4)  6 O 1.96-2.00
O: 0.0000 0.0549 0.7496 (multiplicity 8)  3 Ti 1.96-2.00
O: 0.2499 0.2500 0.0549 (multiplicity 8)  3 Ti 1.94-2.00

=====

Computed, not measured: crystalline H6PbCBr3N at its relaxed geometry at the PBE level of DFT.

```
data_H6PbCBr3N
_cell_length_a 8.5470
_cell_length_b 12.1840
_cell_length_c 8.4217
_cell_angle_alpha 90.00
_cell_angle_beta 90.00
_cell_angle_gamma 90.00
_symmetry_space_group_name_H-M 'P n m a'
_symmetry_Int_Tables_number 62
_symmetry_space_group_name_Hall '-P 2ac 2n'
loop_
_atom_site_label
_atom_site_fract_x
_atom_site_fract_y
_atom_site_fract_z
_atom_site_occupancy
H1 0.0816 0.1819 0.1088 1
H2 0.0923 0.6759 0.1173 1
H3 0.1622 0.2500 0.9584 1
H4 0.1762 0.7500 0.9538 1
Pb1 0.0000 0.0000 0.5000 1
C1 0.0846 0.7500 0.0444 1
Br1 0.0243 0.7500 0.5613 1
Br2 0.2005 0.0176 0.8010 1
N1 0.0700 0.2500 0.0369 1
```

Values from the calculation:
**Relative energy among the computed polymorphs**: 0.327 kcal/mol of atoms
**Crystal system**: orthorhombic
**Calculated density**: 3.63 g/cm3
**E_form**: -0.541 eV per atom

=====

## Gd3Ge13Ir4 (PBE-GGA)

Data for crystalline Gd3Ge13Ir4 at its relaxed geometry.

Cell lengths 9.0766, 9.0766, 9.0766 Å; angles 90.00, 90.00, 90.00 degrees
Positions (direct):
1 Gd 0.0000 0.5000 0.7500
2 Gd 0.5000 0.2500 0.0000
3 Gd 0.7500 0.0000 0.5000
4 Gd 0.0000 0.5000 0.2500
5 Gd 0.5000 0.7500 0.0000
6 Gd 0.2500 0.0000 0.5000
7 Ge 0.5000 0.5000 0.5000
8 Ge 0.0000 0.0000 0.0000
9 Ge 0.8081 0.3542 0.5000
10 Ge 0.6458 0.5000 0.8081
11 Ge 0.5000 0.1919 0.6458
12 Ge 0.1919 0.6458 0.5000
13 Ge 0.3542 0.5000 0.1919
14 Ge 0.5000 0.8081 0.3542
15 Ge 0.8081 0.6458 0.5000
16 Ge 0.6458 0.5000 0.1919
17 Ge 0.1919 0.3542 0.5000
18 Ge 0.3542 0.5000 0.8081
19 Ge 0.5000 0.8081 0.6458
20 Ge 0.5000 0.1919 0.3542
21 Ge 0.3081 0.0000 0.8542
22 Ge 0.1458 0.3081 0.0000
23 Ge 0.0000 0.1458 0.6919
24 Ge 0.6919 0.0000 0.1458

Completed
2